_Entries_
____________
Entry 1:
# C18H62BrClN22O11PS

12 unconnected molecules or ions with the total composition C18H62BrClN22O11PS at a distorted geometry (ωB97M-V/def2-TZVPD, the OMol25 dataset).

Geometry as XYZ:
```
117
Properties=species:S:1:pos:R:3:forces:R:3
Br -3.9956 4.1661 2.0854 0.6972 0.5570 -0.4625
Cl -2.6569 3.0859 4.7523 -1.0895 0.0138 1.8566
S 2.5736 6.4070 1.7020 -0.0459 0.0646 -0.1012
P -1.2577 2.9502 3.1389 1.7395 -1.4138 -1.9089
O -1.6438 -7.2093 -2.1922 0.0765 -0.0917 0.0209
O 4.9687 -0.5320 -6.7486 0.0357 0.0212 -0.2427
O -1.8671 -1.9612 8.3625 0.1987 -0.7860 0.2156
O -4.9317 -3.7581 5.7763 -0.2927 0.1040 0.1018
O 1.5995 -3.6709 3.4572 0.2508 0.0728 -0.2408
O 4.5055 3.6773 1.2245 0.4531 0.6984 0.4612
O 3.9506 1.2074 -2.5787 0.1672 -0.4813 -0.1446
O -3.1581 -1.1276 -4.8084 -0.5300 0.0366 -0.1880
O -6.6865 -0.5272 -9.1825 -0.1105 -0.0093 -0.2138
O -0.8596 1.3896 -2.7569 0.6755 -0.3003 -0.5068
O 3.2235 -0.7359 -0.0033 0.1937 0.0986 -0.5910
N 4.7399 -1.0716 -4.5732 -0.0213 0.5699 0.7557
N 5.4130 2.2538 -3.9361 1.4918 -0.3133 -0.3925
N -4.5703 0.0462 -8.6640 1.2816 0.5626 -0.8376
N 1.6557 -5.8348 4.0825 0.1710 -1.3252 -0.7801
N -2.5844 1.0903 -1.3384 -0.0226 -0.8028 0.6742
N -2.2957 -5.3830 -3.3394 -1.1738 0.6308 -0.1507
N 2.9947 -1.2755 2.1722 0.1477 0.7768 0.7994
N -1.2906 0.0704 7.5774 1.1048 0.5943 0.3028
N -0.1814 -6.1629 -3.5496 1.6158 -0.2370 -0.4874
N -5.9500 -0.7721 -7.0673 -0.5745 -0.4934 1.1105
N 3.2797 -2.8998 0.6220 0.3574 -1.4713 -0.9259
N -2.7158 2.6477 -2.9755 -0.2926 1.0129 -1.0098
N -0.9060 -1.1250 -4.7450 0.4845 0.4110 0.4154
N 5.0249 -2.6959 -6.1234 0.1568 -1.6087 -0.8852
N 1.3707 -4.2105 5.6326 -0.2253 0.7281 1.0422
N -3.3145 -0.8098 7.0757 -1.0973 -0.3749 -0.2649
N 3.2163 2.2472 0.0543 -0.9617 0.4569 -0.0329
N -2.6796 -3.7554 5.8397 0.6523 0.5094 0.4971
N 5.3891 1.7542 0.4520 1.6402 -0.5830 0.1672
N -2.0050 -2.6213 -6.0395 -0.5030 -1.5693 -1.0458
N 3.2987 3.0337 -3.7259 -1.1036 0.5478 -0.0633
N -3.7786 -5.2517 4.5452 -0.4858 -1.3218 -1.0344
C 3.1694 -1.5830 0.8742 -0.1631 0.5999 0.4555
C 1.5454 -4.5180 4.3347 0.0253 0.4533 -0.1386
C -2.3119 5.5690 -0.2900 0.9335 -0.6312 -0.6868
C -2.1400 -0.9639 7.7133 -0.0237 0.5283 -0.0082
C -1.9913 4.5115 2.2471 0.2302 1.7674 -0.4522
C -1.3211 4.7923 0.7732 -0.1383 1.3091 0.0078
C -1.9816 1.6900 -2.3809 -0.3082 -0.1778 0.4189
C 4.3783 2.6266 0.6158 -0.9257 -0.1390 -0.3971
C 1.5075 5.9365 3.1701 -0.5145 -0.9748 1.0689
C -0.5709 1.2630 3.8233 0.0767 -1.2977 -0.0476
C -2.0912 -1.5948 -5.1742 0.2659 0.7898 0.6205
C -5.7927 -0.4243 -8.3573 -0.6738 -0.1342 -0.2298
C -1.3899 -6.3092 -2.9770 -0.4908 -0.4699 0.5901
C -0.0298 3.9844 4.1716 1.6062 1.0541 1.7621
C 1.3939 4.3219 3.4341 0.5627 0.3675 1.1101
C -3.8648 -4.2253 5.4104 -0.0179 0.5211 0.3672
C 4.9146 -1.3791 -5.8711 -0.0282 0.8484 0.0191
C 4.2045 2.1075 -3.3635 -0.4451 0.1357 0.4308
H 2.2497 4.0498 4.2195 -1.6344 0.5516 -1.8800
H -0.4960 5.0121 4.5541 0.9026 -2.1523 -0.8235
H 2.3760 2.9600 -3.3176 0.2586 0.0416 -0.1132
H 2.4297 2.8755 0.1543 0.2596 -0.1975 0.0367
H -4.6478 -5.6351 4.1975 0.3852 0.1555 0.1089
H 5.1576 -2.9704 -7.0880 -0.0433 0.0882 0.4108
H 1.2830 -3.2300 5.8659 -0.0314 -0.3160 -0.0115
H -1.3632 0.4302 3.5057 1.6414 1.6389 0.9605
H -2.0661 0.3635 -0.8626 -0.2028 0.3442 -0.0544
H 2.9475 -1.9589 2.9090 -0.2993 -0.0418 -0.1607
H -3.5076 1.3240 -1.0141 0.2052 0.0450 0.0458
H -3.5574 0.0039 6.5364 0.1028 -0.0386 -0.0567
H 0.2212 3.3796 5.1676 -0.6048 1.2873 -2.1062
H 3.2377 -3.6121 1.3311 -0.1973 0.2177 0.0135
H -1.6242 5.9382 -1.1878 -1.4228 -0.6180 1.8405
H -2.9094 -5.6500 4.2322 -0.1718 0.1458 0.0468
H -0.9128 3.8424 0.2262 -0.9125 1.5369 1.3399
H -6.8555 -1.1311 -6.7943 0.3836 0.1715 -0.1102
H -0.3939 5.5104 0.9636 -1.7789 -1.6131 -0.3335
H -0.4187 1.3036 4.9835 -0.0614 -0.4717 -2.1707
H 0.5297 -6.8393 -3.3039 -0.2946 0.2999 -0.1100
H 4.9829 -3.4082 -5.4143 0.0257 0.1796 -0.1243
H -1.7907 -4.1270 5.5499 -0.1670 0.1149 0.0274
H 1.6137 -6.5471 4.7915 0.0038 0.1470 -0.1265
____________

_What to do_
What is needed: reproduce the part of the entries above that starts with the line with "0.1040 0.1018" and stops after the one with "3.2987 3.0337".

_Outcome_
O -4.9317 -3.7581 5.7763 -0.2927 0.1040 0.1018
O 1.5995 -3.6709 3.4572 0.2508 0.0728 -0.2408
O 4.5055 3.6773 1.2245 0.4531 0.6984 0.4612
O 3.9506 1.2074 -2.5787 0.1672 -0.4813 -0.1446
O -3.1581 -1.1276 -4.8084 -0.5300 0.0366 -0.1880
O -6.6865 -0.5272 -9.1825 -0.1105 -0.0093 -0.2138
O -0.8596 1.3896 -2.7569 0.6755 -0.3003 -0.5068
O 3.2235 -0.7359 -0.0033 0.1937 0.0986 -0.5910
N 4.7399 -1.0716 -4.5732 -0.0213 0.5699 0.7557
N 5.4130 2.2538 -3.9361 1.4918 -0.3133 -0.3925
N -4.5703 0.0462 -8.6640 1.2816 0.5626 -0.8376
N 1.6557 -5.8348 4.0825 0.1710 -1.3252 -0.7801
N -2.5844 1.0903 -1.3384 -0.0226 -0.8028 0.6742
N -2.2957 -5.3830 -3.3394 -1.1738 0.6308 -0.1507
N 2.9947 -1.2755 2.1722 0.1477 0.7768 0.7994
N -1.2906 0.0704 7.5774 1.1048 0.5943 0.3028
N -0.1814 -6.1629 -3.5496 1.6158 -0.2370 -0.4874
N -5.9500 -0.7721 -7.0673 -0.5745 -0.4934 1.1105
N 3.2797 -2.8998 0.6220 0.3574 -1.4713 -0.9259
N -2.7158 2.6477 -2.9755 -0.2926 1.0129 -1.0098
N -0.9060 -1.1250 -4.7450 0.4845 0.4110 0.4154
N 5.0249 -2.6959 -6.1234 0.1568 -1.6087 -0.8852
N 1.3707 -4.2105 5.6326 -0.2253 0.7281 1.0422
N -3.3145 -0.8098 7.0757 -1.0973 -0.3749 -0.2649
N 3.2163 2.2472 0.0543 -0.9617 0.4569 -0.0329
N -2.6796 -3.7554 5.8397 0.6523 0.5094 0.4971
N 5.3891 1.7542 0.4520 1.6402 -0.5830 0.1672
N -2.0050 -2.6213 -6.0395 -0.5030 -1.5693 -1.0458
N 3.2987 3.0337 -3.7259 -1.1036 0.5478 -0.0633